by Alice Wright
There is no doubt COVID-19 is causing devastating effects around the world, not only physically and emotionally, but also economically. In the midst of the depressing news I see on a daily basis I decided to take some time to reflect on something good. This in no way balances out the tragedy that has resulted from this pandemic, but a grain of hope that may help lift your spirits during this troubling time is the positive effect that it is having (and could continue to have) on climate change and our planet earth.
While many of us may be twiddling our thumbs, desperate to feel ‘productive’ again and back to our normal routines, this time of social distancing and quarantining seems to be giving our earth a much needed break from the wear and tear of industrial activities. With less air, road, and train travel, fossil-fuel usage has dramatically decreased causing a noticeable drop in greenhouse gas emissions, ultimately helping to slow global warming somewhat.
Molecular formula: C29H61BBrClCsF6LiN5O11S
Method: DFT, ωB97M-V/def2-TZVPD

XYZ file:
```
118
Properties=species:S:1:pos:R:3:mulliken_charge:R:1
C -0.1876 1.5480 -1.1588 -0.13
O 0.3213 1.4959 0.1451 -0.36
C -0.3246 0.5244 0.9248 -0.95
C -1.7999 0.8308 1.0746 1.26
C -2.3421 0.1821 2.3383 -1.16
C -3.8427 0.4626 2.4897 -0.67
C -3.9784 1.8682 3.0137 0.23
C -5.4011 2.3332 3.3449 -1.11
C -5.8699 3.4905 2.4876 -0.76
C -5.6250 3.3540 0.9932 -1.08
C -4.4803 4.2200 0.4827 1.80
C -4.6933 4.9853 -0.7974 -1.96
C -3.3928 5.1147 -1.5593 -0.92
C -2.2154 5.6320 -0.7865 0.25
Br -2.5481 7.1182 0.3736 0.10
O -1.6966 4.4906 -0.1358 0.33
C -0.5988 4.7433 0.6751 -0.37
C 0.4063 5.7930 0.1691 -0.38
C 0.6319 6.8188 1.2886 -0.89
C 1.7029 6.2613 2.1914 -0.15
N 2.9180 6.3982 1.9179 -0.58
N 0.1110 6.4359 -1.1460 0.91
C -1.2244 6.1547 -1.7604 -0.83
B -1.0163 5.1869 -3.0452 0.29
N -0.8653 5.8364 -4.3428 -0.46
O -0.9763 3.8475 -2.9478 -0.56
H 0.6458 1.8838 -1.7678 0.10
H -1.0366 2.2335 -1.2915 -0.59
H -0.5288 0.5795 -1.4859 0.59
H -0.1439 -0.4480 0.4857 0.25
H 0.1013 0.6096 1.9091 0.46
H -1.8695 1.9082 1.1330 -0.76
H -2.3852 0.4944 0.2280 0.17
H -1.8439 0.6486 3.1739 0.42
H -2.1795 -0.8813 2.3035 0.42
H -4.2604 -0.1837 3.2488 0.43
H -4.3407 0.3357 1.5415 0.30
H -3.5243 2.5606 2.3223 -0.51
H -3.4216 1.9152 3.9329 0.53
H -6.1162 1.5275 3.3937 0.38
H -5.3429 2.7221 4.3503 0.36
H -6.9263 3.6748 2.6216 0.35
H -5.3587 4.3505 2.8862 0.35
H -6.5408 3.5948 0.4788 0.57
H -5.3514 2.3454 0.7338 0.43
H -4.2848 4.9634 1.2365 0.29
H -3.6253 3.5777 0.4189 -1.16
H -5.1641 5.9472 -0.6533 0.44
H -5.3470 4.4381 -1.4572 0.56
H -3.1226 4.0907 -1.7937 0.05
H -3.5452 5.6947 -2.4568 0.51
H -0.0783 3.8045 0.7873 0.50
H -0.9418 4.9932 1.6651 0.38
H 1.4038 5.2857 0.0792 -0.29
H -0.2450 6.8908 1.8939 0.36
H 0.9112 7.7904 0.9147 0.42
H 1.4189 5.7158 3.0802 0.50
H 3.5045 5.9640 2.6258 0.29
H 0.1668 7.4561 -1.0080 0.44
H 0.8406 6.2137 -1.8379 0.20
H -1.6071 7.0843 -2.1681 0.11
H 0.0646 6.1826 -4.5396 0.16
H -1.1724 5.2309 -5.0944 0.22
H -0.3825 3.5050 -3.6296 0.31
Cl -3.0871 1.7189 -1.7982 -0.59
C -0.6594 -5.8668 -2.2418 -1.11
C 0.7304 -6.0338 -1.6677 -0.11
O 1.5912 -4.9109 -2.0143 -0.36
C 1.4793 -3.8140 -1.2655 0.70
O 0.7730 -3.6530 -0.3035 -0.51
O 2.3226 -2.8871 -1.7505 -0.42
C 2.2521 -1.6564 -1.0152 -0.48
H -0.5650 -5.6749 -3.3411 0.27
H -1.2513 -6.7697 -2.0801 0.40
H -1.1826 -5.0280 -1.7810 0.34
H 1.1999 -6.8996 -2.1258 0.30
H 0.7409 -6.1959 -0.5902 0.25
H 2.3741 -1.8309 0.0509 0.30
H 1.3093 -1.1503 -1.2106 0.19
H 3.0683 -1.0286 -1.3624 0.25
C 3.1588 -7.4940 2.4167 1.45
O 2.4900 -8.1636 1.6281 -0.62
N 3.3135 -6.2120 2.5558 0.33
C 4.2123 -5.7274 3.6119 -0.43
C 2.6105 -5.2712 1.6969 -0.87
H 3.7479 -7.9594 3.2478 -1.39
H 3.6517 -5.1190 4.3178 0.48
H 5.0066 -5.1302 3.1565 0.28
H 4.6471 -6.5646 4.1505 -0.08
H 1.5358 -5.4161 1.7851 0.29
H 2.8976 -5.4421 0.6573 0.17
H 2.8699 -4.2582 1.9926 0.33
F -2.0619 8.9912 -1.5699 -0.85
Cs 2.5563 4.9353 -1.5555 1.00
Li 4.5589 -9.4098 4.1348 0.92
C 4.8944 -1.0679 5.4519 0.52
Furthermore, industrial cities that have been under quarantine are showing a drastic improvement in air pollution. Nitrogen dioxide, a harmful chemical to human lungs, and other particle matters that pertain to lung health, have been shown via satellite images to have massively decreased over the major cities quarantined. For example, San Francisco has seen a 40% reduction in particle matters when compared to last year’s figures (, and this is thought to have actually saved lives.
The canals in Venice finally have clear water; encouraging species of fish to inhabit there again and local wildlife to flourish. What’s perhaps most impressive is the speed at which ecosystems are recovering from years of aggressive industrial activity, suggesting it’s ‘not too late’ when it comes to climate change. Even where I live, in the small town of Flagstaff where life already moves at a more leisurely pace, there is an added stillness; encouraging wildlife to inhabit.
Obviously it would be unfeasible to suggest the world should stay under quarantine forever and as the economy starts to recover, greenhouse gas emissions and air pollution will inevitably rise back up to pre-pandemic levels. But one thing that I think we can take from this is what Coronavirus is teaching us about ourselves, not only as citizens and employees, but as inhabitants of this planet. These trying times have shown us what we are capable of in the face of dire circumstances, and the sacrifices we are willing to make in contribution to a greater cause–saving lives. I am not equating this pandemic with climate change, but the latter does pose a threat to human life–it is just masked in the latent nature of the effects. So why not make small compromises in the long term after shifting out of the significant sacrifices we have made in the short term?
This time of social distancing and working from home will bring an expansion of more locally-focused economic activity and introduce practices that can chip away at our social footprints: online meetings to reduce long-haul business flights and other perhaps unnecessary travel, more opportunities to work remotely and reduce road traffic, and a greater inclination to opt for recreational activities that do not cause pollution. Earth Day is next month (April 22nd) and I think we should focus our attention on how our current low-carbon lifestyles could be continued to some extent post crisis in order to help prevent future threats to humanity (i.e. climate change!) and protect our precious Earth since we rely on it for so much. As athletes, the earth is our office and our playground, and I believe it’s our responsibility to look after it for a more sustainable future.
References for info/stats:
Forbes Magazine